Infant vs. Toddler Formulas
# Attached: quantum chemistry results
No. 1
Here is 2 unconnected molecules or ions with the total composition C3H3NO at a distorted geometry from the OMol25 dataset. Energies are from ωB97M-V/def2-TZVPD.

Last column: Löwdin charge in e.
Geometry (Å):
C 0.8218 -0.1691 0.0923  0.082
C 2.1947 0.1624 0.1206  -0.473
C -1.9085 0.1124 0.0516  0.104
N 1.6820 -1.0815 -0.2187  0.209
O 3.2218 0.7897 0.0676  0.124
H -1.9022 -0.1757 -1.0551  0.032
H -1.8255 1.0549 0.2442  -0.090
H -2.2840 -0.6931 0.6975  0.012

Properties
LUMO energy (spin up / spin down) (eV): -0.19 / -1.85
Kohn-Sham gap (spin up / spin down) (hartree): 0.3448 / 0.2595
HOMO (spin up / spin down) (eV): -9.58 / -8.91
2S+1: 1


No. 2
Here is C3H3NO in the gas phase at a distorted geometry from the OMol25 dataset. Energies are from ωB97M-V/def2-TZVPD.

Last column: Löwdin charge in e.
Geometry (Å):
N -2.4927 -0.5471 0.7313  0.181
C -1.4084 -0.2996 0.3631  -0.173
C -0.0366 -0.4190 0.3002  -0.297
C 0.7874 0.6424 -0.4095  -0.068
O 0.4051 -0.5994 -1.0534  -0.051
H 0.4755 -0.9657 1.0782  0.150
H 1.8856 0.6807 -0.0544  0.137
H 0.3843 1.5077 -0.9554  0.120

Properties
LUMO energy (eV): 0.66
Kohn-Sham gap (hartree): 0.4284
HOMO (eV): -11.00
2S+1: 1
SMILES string: N#C[C@@H]1CO1


No. 3
Here is C3H3NO in the gas phase at a distorted geometry from the OMol25 dataset. Energies are from ωB97M-V/def2-TZVPD.

Last column: Löwdin charge in e.
Geometry (Å):
C 0.0647 -0.3781 0.8897  -0.028
C 1.0122 0.4302 0.3255  -0.069
N 0.4990 0.9887 -1.1451  0.038
O -0.6722 0.4431 -1.2829  -0.164
C -1.1391 -0.2801 -0.2932  -0.065
H -0.0736 -0.9804 1.8356  0.097
H 2.0042 0.8564 0.4518  0.079
H -1.7039 -1.0991 -0.7833  0.111

Properties
LUMO energy (spin up / spin down) (eV): 0.30 / 0.30
Kohn-Sham gap (spin up / spin down) (hartree): 0.3414 / 0.3414
HOMO (spin up / spin down) (eV): -8.99 / -9.00
2S+1: 1
SMILES string: c1cnoc1


No. 4
Here is C3H3NO2 in the gas phase at a distorted geometry from the OMol25 dataset. Energies are from ωB97M-V/def2-TZVPD.

Last column: Löwdin charge in e.
Geometry (Å):
O 2.1181 -0.0013 0.1344  0.072
C 0.7400 -0.2306 0.2127  -0.514
N 0.8134 -1.5127 0.3165  0.387
O -1.6229 -1.2257 0.0162  0.007
C -1.5456 0.0171 0.0069  -0.282
C -0.2988 0.6670 0.1312  -0.032
H 2.3583 -0.1386 -0.7986  0.134
H -2.4510 0.6410 -0.1278  0.126
H -0.1358 1.7312 0.1182  0.102

Properties
LUMO energy (spin up / spin down) (eV): -2.16 / -2.06
Kohn-Sham gap (spin up / spin down) (hartree): 0.2590 / 0.2633
HOMO (spin up / spin down) (eV): -9.21 / -9.22
2S+1: 1


No. 5
Here is C3H3NO2 in the gas phase at a distorted geometry from the OMol25 dataset. Energies are from ωB97M-V/def2-TZVPD.

Last column: Löwdin charge in e.
Geometry (Å):
C -1.2238 -0.2996 0.1967  -0.031
O -0.4975 0.8886 -0.1305  -0.008
C 0.8174 0.9103 -0.3024  -0.496
O 1.4074 1.8993 -0.6331  0.159
C 1.5539 -0.3596 -0.0610  -0.098
N 2.2029 -1.3030 0.1051  0.191
H -0.5585 -1.1392 0.4262  0.082
H -1.8467 -0.0554 1.0594  0.101
H -1.8551 -0.5413 -0.6605  0.101

Properties
LUMO energy (eV): 0.05
My baby is 11 months old. To make sure that she gets proper nutrition, can I keep her on formula even after she turns 1? Would keeping her on regular formula be better than switching to toddler formula?
Dr. Greene's Answer
For breastfed babies, the nutrition in the breast milk changes throughout the nursing experience. Breastmilk is quite different when the baby is 6 days old, 6 months old, and 18 months old. These changes happen gradually over time. Formulas come in a few different stages to try to address children’s changing nutritional needs as they grow.
Toddler formulas have many of the same vitamins and minerals found in infant formulas. The main difference between toddler and infant formulas is that toddler formulas contain a greater amount of calcium and phosphorus. They are designed to match the higher calcium and phosphorus levels children need as they grow, similar to the levels found in whole milk.
One benefit of formulas over whole milk is that many of them contain DHA, an important omega-3 fatty acid (that you would find in breastmilk). One way or another, getting DHA in the diet seems especially important in the first two years. If you think your child needs formula after the first year, switching to a toddler formula at that time is one way to accomplish this while providing her with the extra calcium and phosphorus she needs..
Toddlers don’t necessarily need formula, even if they don’t nurse. Children who are eating a balanced variety of healthy solids after the first birthday should be able to get the extra vitamins and minerals found in formula from their diets, perhaps with the added safety net of a multivitamin. If there is concern that your child is not eating an adequate amount of solids, formula will provide most of her nutritional needs while she is experimenting with solid food.
It is important not to force your child into eating more solids. For most kids, it’s okay for them to eat as much or as little as they want, chosen from healthy options. It will vary day by day. To encourage solids, offer them at least three times a day, preferably before a bottle.
For most kids, it’s best not to coax them to eat with moving the spoon like an airplane or with music or sound effects. They have an internal mechanism that tells them how much to eat that you want to keep intact. If you suspect it is not intact or there are serious food allergies complicating the picture, then it is usually best to work with a feeding specialist to learn how to encourage feeding while still keeping the child’s motivation strong.
She may be fine with 16 ounces of formula a day now. Or she may want 24 ounces. If she consistently takes more or less than that, run it by your pediatrician to be sure she is getting a good amount for her specific situation. At the one-year physical, you’ll get to see on the charts just how she is growing. And one way or the other, your darling baby is on the doorstep of toddling into a whole new stage of life. Bon appétit!